
Google China photo gallery

Chris Mohney · 02/23/07 01:00PM

Google Blogoscoped has datamined a nice collection of pics depicting Google's searchworks in China. Usual assortment of infantilizing treats for the workers, plus the odd pic of Sergey Brin and the Google China boss, Kai-Fu Lee. Also includes actual documentary proof of Marissa Mayer putting ads above users.

Pirates of Silicon Valley II: Our Candidates for the Cast

Nick Douglas · 01/30/07 04:29PM

NICK DOUGLAS — While dust gathers on our old VHS copies of Pirates of Silicon Valley (for us, Noah Wyle's career hit its high point with his role as Steve Jobs), it's time to cast the sequel. Starring the Daily Show's Demetri Martin as Digg founder Kevin Rose, Jason Bateman as Diggnation co-host Alex Albrecht and Rush Limbaugh as John C. Dvorak, the show also includes stars playing Bill Gates, Rupert Murdoch, Merlin Mann, and Google's Marissa Mayer.

Liveblogging Google VP Marissa Mayer at the Web 2.0 Summit

Nick Douglas · 11/09/06 05:29PM

Google VP and de facto spokesperson Marissa Mayer is at the Web 2.0 Summit discussing "What Google secretly discovered along the way." Opens with a story about running studies about Google, doing split A/B testing (giving a small group of users a different version of Google — a different font, different buttons, whatever).

Breakfast with Marissa Mayer

Nick Douglas · 10/13/06 11:36AM

New York correspondent Benjamin Edison reports from a breakfast talk given by our favorite Google VP.

Marissa found on Newsweek

Nick Douglas · 09/22/06 02:24PM

Breaking News! During a deep investigation, we found Google's most media-saturating executive hiding in plain sight on the cover of Newsweek that's been out for days. Marissa Mayer's anti-biometric face-morphing technique ensured that millions of web programmers would stream right past her in the checkout line. God she's advanced.

Valleywag party report: Google's Larry Page rocks the urban mullet

Nick Douglas · 09/12/06 04:35PM

Last night, I cheated my way into a book party for California-based writer and web publisher Arianna Huffington at the San Francisco guest house of Oracle CEO Larry Ellison and romance novelist Melanie Craft Ellison. First lesson: Don't go to a society event dressed for a Silicon Valley geek party. Second lesson: F. Scott Fitzgerald was right, the rich are not like you and me.

Marissa Mayer gets Lucky

Nick Douglas · 08/29/06 04:58PM

Lucky Magazine spread Marissa Mayer's gadgets across two pages of their September issue, along with priceless quotes like, "I'm so big on baking, I was actually contemplating opening a cupcake shop last summer."

Marissa Mayer gets hooked on a Hasselhoff

Nick Douglas · 08/28/06 09:00AM

At a conference last week, Google's most public VP (Marissa "Evita" Mayer) was spotted crediting sites like Google Video for the rise of Z-list celebs. And, sadly, she's right — the Star-Wars-Kid news cycle shrank from months to hours, thanks to some low-rent stars, not all of them new. Says Mayer:

== The page is interrupted by quantum chemistry results ==
........
# 1
DFT (ωB97M-V/def2-TZVPD) results for a 3-piece molecular cluster, C31H64FN2O8Si overall at a distorted geometry.

Positions of all 107 atoms, in Å:
1 C -5.42420 -4.52511 4.82184
2 C -5.19272 -4.71840 6.32554
3 O -5.14348 -3.47668 7.00338
4 C -3.98096 -3.25308 7.77126
5 C -2.97577 -2.37368 7.01278
6 C -1.53629 -2.82472 7.20167
7 C -0.49646 -1.77853 6.72665
8 C 0.23782 -2.22387 5.43699
9 C -0.61988 -2.11236 4.21600
10 C -1.56306 -3.06712 3.94997
11 C -2.33607 -2.91159 2.80565
12 N -2.17313 -1.87340 2.01475
13 C -3.01380 -1.73963 0.79412
14 C -2.42258 -2.58278 -0.31902
15 O -2.98528 -3.88329 -0.24310
16 Si -2.13038 -5.07661 -1.09433
17 C -0.69098 -5.59496 -0.00840
18 C -1.57924 -4.41733 -2.75319
19 C -3.27351 -6.52395 -1.35673
20 N -1.26738 -0.91668 2.20130
21 C -0.51015 -1.04622 3.27416
22 C 0.51114 0.03530 3.45377
23 C 0.06119 1.19570 4.37493
24 C -1.43033 1.32769 4.57536
25 F 0.72091 1.13299 5.58453
26 H -6.42952 -4.79571 4.51908
27 H -5.27365 -3.48577 4.53904
28 H -4.74086 -5.13291 4.23139
29 H -4.27875 -5.29054 6.45978
30 H -6.02244 -5.29477 6.72533
31 H -3.51012 -4.17938 8.10099
32 H -4.28582 -2.73199 8.67486
33 H -3.27375 -2.38212 5.96442
34 H -3.08664 -1.34753 7.35124
35 H -1.38901 -2.98388 8.26756
36 H -1.36581 -3.79517 6.74092
37 H -1.03448 -0.86332 6.53083
38 H 0.23394 -1.66415 7.51605
39 H 0.44267 -3.28416 5.56703
40 H 1.19953 -1.74193 5.33764
41 H -1.72705 -3.91804 4.58460
42 H -3.07494 -3.64714 2.53326
43 H -3.09703 -0.69415 0.54350
44 H -3.97414 -2.16602 1.05349
45 H -2.71799 -2.13379 -1.26540
46 H -1.33665 -2.63557 -0.23243
47 H -0.08550 -4.72659 0.25316
48 H -0.08023 -6.35075 -0.48456
49 H -1.08547 -5.98025 0.92918
50 H -0.94923 -5.14002 -3.26312
51 H -2.46362 -4.24176 -3.36324
52 H -1.04634 -3.47013 -2.70778
53 H -4.24528 -6.17380 -1.69527
54 H -2.87570 -7.21542 -2.09451
55 H -3.40769 -7.08035 -0.43304
56 H 1.45473 -0.37760 3.78543
57 H 0.70055 0.49315 2.48986
58 H 0.36821 2.11878 3.89122
59 H -1.95273 1.32568 3.62537
60 H -1.84612 0.57623 5.23825
61 H -1.62112 2.29609 5.02721
62 C -3.90309 2.18909 -4.21268
63 O -2.65955 2.10749 -3.54725
64 C -2.59788 1.06182 -2.60297
65 C -1.18658 0.52972 -2.46492
66 O -0.76698 -0.30898 -3.52709
67 C -0.49073 0.28950 -4.79032
68 C 0.79060 1.08865 -4.83554
69 O 0.64577 2.32736 -4.16049
70 C 1.83629 2.76485 -3.53973
71 H -4.69718 2.50699 -3.52824
72 H -3.80379 2.92728 -5.00523
73 H -4.17222 1.22799 -4.66489
74 H -3.26396 0.23860 -2.89242
75 H -2.92420 1.45864 -1.62854
76 H -1.16914 -0.12118 -1.58289
77 H -0.47264 1.33476 -2.28310
78 H -1.33819 0.87801 -5.14245
79 H -0.37394 -0.55125 -5.47732
80 H 1.04023 1.29541 -5.88409
81 H 1.60143 0.50037 -4.39138
82 H 2.24737 1.98876 -2.88329
83 H 1.59458 3.63557 -2.93235
84 H 2.58456 3.04931 -4.28675
85 C 8.56183 4.62185 -3.07544
86 O 7.42448 5.38762 -3.40291
87 C 7.67778 6.78390 -3.40741
88 C 6.79418 7.50197 -4.40339
89 O 7.18610 7.34797 -5.75876
90 C 6.97481 6.09294 -6.38657
91 C 5.53129 5.79190 -6.72076
92 O 4.79175 5.44302 -5.55954
........

Loose wires: Such, such were the Joys

Nick Douglas · 08/23/06 11:24PM
  • The Sun hosts an exclusive Webchat with Marissa Mayer, Google's Director of Consumer Products. Our first question for the lovely Marissa: Google bitching aside, just how miffed is she that we excluded her from our Web 2.0 Hotties Competition? [The Sun Online]